Now repeat everything further down without additions.

********
Record 1
A molecular structure, C26H22ClF6N5O6S2Sn, computed with ωB97M-V with the def2-TZVPD basis set.

```
69
Properties=species:S:1:pos:R:3:forces:R:3:nbo_charge:R:1
Sn 0.099 0.153 -1.199 0.1584 -0.0173 0.1214 1.442
F 0.150 -1.265 4.457 0.0004 -0.0037 0.0177 -0.294
C 0.591 -0.888 3.267 0.0031 0.0257 0.0239 0.729
F 0.328 0.410 3.095 -0.0052 0.0130 -0.0139 -0.313
F 1.900 -1.079 3.190 0.0003 -0.0200 -0.0040 -0.294
S -0.251 -1.855 1.947 0.1745 0.0291 -0.0871 2.277
O 0.334 -1.287 0.724 -0.0499 -0.0029 -0.0184 -1.040
O 0.032 -3.224 2.197 -0.0338 -0.0120 0.0046 -0.875
N -1.757 -1.520 2.124 -0.0224 -0.1071 0.1516 -1.232
S -2.562 -0.380 1.411 -0.1104 0.0758 -0.0474 2.264
O -2.628 0.848 2.152 -0.0135 -0.0332 -0.0132 -0.941
O -2.280 -0.292 -0.010 0.0569 0.1560 -0.0810 -0.976
C -4.248 -1.116 1.492 -0.0069 0.0124 -0.0322 0.741
F -4.618 -1.280 2.754 0.0088 -0.0106 0.0115 -0.297
F -4.261 -2.284 0.864 -0.0074 -0.0131 0.0109 -0.299
F -5.087 -0.281 0.890 0.0194 -0.0091 0.0199 -0.297
C 1.093 1.549 -5.495 -0.0040 -0.0197 -0.0106 -0.223
C 0.734 0.471 -6.287 -0.0030 0.0003 0.0298 -0.115
C 0.180 -0.657 -5.698 0.0214 0.0208 -0.0418 -0.221
C 0.005 -0.679 -4.325 -0.0268 -0.0350 0.1277 0.256
N 0.370 0.364 -3.566 -0.1497 -0.1876 -0.0710 -0.571
C 0.892 1.452 -4.131 0.0224 0.0177 -0.0218 0.061
C -0.607 -1.827 -3.593 0.0583 0.1173 -0.0373 0.160
C -1.047 -2.963 -4.249 -0.0116 -0.0431 0.0086 -0.207
C -1.629 -3.993 -3.524 0.0057 0.0215 -0.0025 -0.103
C -1.768 -3.856 -2.156 0.0159 0.0153 -0.0030 -0.228
C -1.312 -2.695 -1.562 -0.0361 -0.0376 0.0133 0.091
N -0.737 -1.706 -2.255 -0.0314 0.0379 -0.0684 -0.567
H 1.517 2.446 -5.923 0.0049 0.0058 0.0085 0.250
H 0.877 0.505 -7.359 -0.0004 -0.0011 -0.0033 0.249
H -0.105 -1.495 -6.315 -0.0057 -0.0014 0.0023 0.237
H 1.166 2.259 -3.461 -0.0105 0.0078 0.0005 0.224
H -0.945 -3.055 -5.319 0.0056 0.0022 -0.0019 0.238
H -1.974 -4.884 -4.030 0.0002 -0.0027 0.0016 0.249
H -2.220 -4.626 -1.547 -0.0044 0.0033 0.0026 0.256
H -1.415 -2.544 -0.499 0.0010 0.0101 -0.0186 0.232
O 3.942 2.608 -2.359 0.0027 0.0149 -0.0083 -0.739
C 5.136 1.928 -1.993 -0.0391 0.0046 0.0103 0.072
N 5.655 1.078 -3.027 0.0507 -0.0093 -0.0082 -0.631
C 5.418 -0.252 -3.231 -0.0321 0.0573 -0.0112 0.660
O 6.055 -0.900 -4.030 -0.0003 -0.0322 -0.0078 -0.560
C 4.325 -0.934 -2.450 0.0083 -0.0286 0.0006 -0.173
C 4.519 -2.268 -2.102 0.0127 0.0252 0.0079 -0.084
C 3.505 -2.952 -1.457 -0.0141 -0.0308 0.0036 -0.190
C 2.312 -2.301 -1.207 0.0336 0.0655 -0.0542 0.056
N 2.107 -1.028 -1.572 -0.0178 -0.0671 0.0509 -0.569
C 3.100 -0.358 -2.172 -0.0141 0.0451 0.0120 0.050
H 4.171 3.379 -2.890 -0.0094 -0.0082 0.0073 0.485
H 4.889 1.337 -1.114 -0.0019 -0.0051 -0.0025 0.187
H 5.911 2.644 -1.718 -0.0029 -0.0104 0.0010 0.197
H 6.398 1.433 -3.612 -0.0045 -0.0019 -0.0003 0.421
H 5.458 -2.744 -2.351 -0.0006 -0.0067 0.0002 0.260
H 3.627 -3.982 -1.156 -0.0082 0.0013 0.0068 0.243
H 1.495 -2.796 -0.703 -0.0064 -0.0219 0.0236 0.227
H 2.895 0.667 -2.451 0.0190 0.0237 0.0153 0.232
Cl -3.579 3.890 10.138 0.0002 0.0020 0.0048 0.185
C -3.563 3.624 8.473 -0.0001 -0.0074 -0.0247 0.129
C -3.285 2.327 7.996 0.0005 -0.0055 0.0029 -0.272
C -3.274 2.112 6.653 0.0038 -0.0050 -0.0164 -0.025
C -3.543 3.188 5.739 -0.0112 -0.0659 0.0219 -0.210
C -3.542 2.964 4.401 0.0164 0.0587 0.0097 -0.006
C -3.821 4.494 6.268 -0.0049 -0.0067 -0.0009 -0.026
C -3.830 4.708 7.611 -0.0009 0.0052 -0.0046 -0.271
H -3.088 1.533 8.703 -0.0018 0.0032 0.0051 0.265
H -3.067 1.128 6.253 0.0029 0.0048 0.0021 0.247
H -3.750 3.771 3.708 -0.0023 -0.0236 -0.0144 0.219
H -3.329 1.989 3.975 -0.0014 0.0038 -0.0145 0.247
H -4.026 5.305 5.581 0.0006 0.0043 -0.0013 0.246
H -4.038 5.681 8.032 -0.0015 0.0023 0.0041 0.266
```
Positions in Å, forces in eV/Å.

Output
HOMO energy (eV): -14.183
Net charge: +2
2S+1: 1
Gap between HOMO and LUMO (eV): 6.762

=====

Record 2
A single C4H3NO3 molecule in a non-equilibrium geometry, computed with ωB97M-V with the def2-TZVPD basis set.

```
11
Properties=species:S:1:pos:R:3:forces:R:3:nbo_charge:R:1
********

Record 1
A molecular structure, C26H22ClF6N5O6S2Sn, computed with ωB97M-V with the def2-TZVPD basis set.

```
69
Properties=species:S:1:pos:R:3:forces:R:3:nbo_charge:R:1
Sn 0.099 0.153 -1.199 0.1584 -0.0173 0.1214 1.442
F 0.150 -1.265 4.457 0.0004 -0.0037 0.0177 -0.294
C 0.591 -0.888 3.267 0.0031 0.0257 0.0239 0.729
F 0.328 0.410 3.095 -0.0052 0.0130 -0.0139 -0.313
F 1.900 -1.079 3.190 0.0003 -0.0200 -0.0040 -0.294
S -0.251 -1.855 1.947 0.1745 0.0291 -0.0871 2.277
O 0.334 -1.287 0.724 -0.0499 -0.0029 -0.0184 -1.040
O 0.032 -3.224 2.197 -0.0338 -0.0120 0.0046 -0.875
N -1.757 -1.520 2.124 -0.0224 -0.1071 0.1516 -1.232
S -2.562 -0.380 1.411 -0.1104 0.0758 -0.0474 2.264
O -2.628 0.848 2.152 -0.0135 -0.0332 -0.0132 -0.941
O -2.280 -0.292 -0.010 0.0569 0.1560 -0.0810 -0.976
C -4.248 -1.116 1.492 -0.0069 0.0124 -0.0322 0.741
F -4.618 -1.280 2.754 0.0088 -0.0106 0.0115 -0.297
F -4.261 -2.284 0.864 -0.0074 -0.0131 0.0109 -0.299
F -5.087 -0.281 0.890 0.0194 -0.0091 0.0199 -0.297
C 1.093 1.549 -5.495 -0.0040 -0.0197 -0.0106 -0.223
C 0.734 0.471 -6.287 -0.0030 0.0003 0.0298 -0.115
C 0.180 -0.657 -5.698 0.0214 0.0208 -0.0418 -0.221
C 0.005 -0.679 -4.325 -0.0268 -0.0350 0.1277 0.256
N 0.370 0.364 -3.566 -0.1497 -0.1876 -0.0710 -0.571
C 0.892 1.452 -4.131 0.0224 0.0177 -0.0218 0.061
C -0.607 -1.827 -3.593 0.0583 0.1173 -0.0373 0.160
C -1.047 -2.963 -4.249 -0.0116 -0.0431 0.0086 -0.207
C -1.629 -3.993 -3.524 0.0057 0.0215 -0.0025 -0.103
C -1.768 -3.856 -2.156 0.0159 0.0153 -0.0030 -0.228
C -1.312 -2.695 -1.562 -0.0361 -0.0376 0.0133 0.091
N -0.737 -1.706 -2.255 -0.0314 0.0379 -0.0684 -0.567
H 1.517 2.446 -5.923 0.0049 0.0058 0.0085 0.250
H 0.877 0.505 -7.359 -0.0004 -0.0011 -0.0033 0.249
H -0.105 -1.495 -6.315 -0.0057 -0.0014 0.0023 0.237
H 1.166 2.259 -3.461 -0.0105 0.0078 0.0005 0.224
H -0.945 -3.055 -5.319 0.0056 0.0022 -0.0019 0.238
H -1.974 -4.884 -4.030 0.0002 -0.0027 0.0016 0.249
H -2.220 -4.626 -1.547 -0.0044 0.0033 0.0026 0.256
H -1.415 -2.544 -0.499 0.0010 0.0101 -0.0186 0.232
O 3.942 2.608 -2.359 0.0027 0.0149 -0.0083 -0.739
C 5.136 1.928 -1.993 -0.0391 0.0046 0.0103 0.072
N 5.655 1.078 -3.027 0.0507 -0.0093 -0.0082 -0.631
C 5.418 -0.252 -3.231 -0.0321 0.0573 -0.0112 0.660
O 6.055 -0.900 -4.030 -0.0003 -0.0322 -0.0078 -0.560
C 4.325 -0.934 -2.450 0.0083 -0.0286 0.0006 -0.173
C 4.519 -2.268 -2.102 0.0127 0.0252 0.0079 -0.084
C 3.505 -2.952 -1.457 -0.0141 -0.0308 0.0036 -0.190
C 2.312 -2.301 -1.207 0.0336 0.0655 -0.0542 0.056
N 2.107 -1.028 -1.572 -0.0178 -0.0671 0.0509 -0.569
C 3.100 -0.358 -2.172 -0.0141 0.0451 0.0120 0.050
H 4.171 3.379 -2.890 -0.0094 -0.0082 0.0073 0.485
H 4.889 1.337 -1.114 -0.0019 -0.0051 -0.0025 0.187
H 5.911 2.644 -1.718 -0.0029 -0.0104 0.0010 0.197
H 6.398 1.433 -3.612 -0.0045 -0.0019 -0.0003 0.421
H 5.458 -2.744 -2.351 -0.0006 -0.0067 0.0002 0.260
H 3.627 -3.982 -1.156 -0.0082 0.0013 0.0068 0.243
H 1.495 -2.796 -0.703 -0.0064 -0.0219 0.0236 0.227
H 2.895 0.667 -2.451 0.0190 0.0237 0.0153 0.232
Cl -3.579 3.890 10.138 0.0002 0.0020 0.0048 0.185
C -3.563 3.624 8.473 -0.0001 -0.0074 -0.0247 0.129
C -3.285 2.327 7.996 0.0005 -0.0055 0.0029 -0.272
C -3.274 2.112 6.653 0.0038 -0.0050 -0.0164 -0.025
C -3.543 3.188 5.739 -0.0112 -0.0659 0.0219 -0.210
C -3.542 2.964 4.401 0.0164 0.0587 0.0097 -0.006
C -3.821 4.494 6.268 -0.0049 -0.0067 -0.0009 -0.026
C -3.830 4.708 7.611 -0.0009 0.0052 -0.0046 -0.271
H -3.088 1.533 8.703 -0.0018 0.0032 0.0051 0.265
H -3.067 1.128 6.253 0.0029 0.0048 0.0021 0.247
H -3.750 3.771 3.708 -0.0023 -0.0236 -0.0144 0.219
H -3.329 1.989 3.975 -0.0014 0.0038 -0.0145 0.247
H -4.026 5.305 5.581 0.0006 0.0043 -0.0013 0.246
H -4.038 5.681 8.032 -0.0015 0.0023 0.0041 0.266
```
Positions in Å, forces in eV/Å.

Output
HOMO energy (eV): -14.183
Net charge: +2
2S+1: 1
Gap between HOMO and LUMO (eV): 6.762

=====

Record 2
A single C4H3NO3 molecule in a non-equilibrium geometry, computed with ωB97M-V with the def2-TZVPD basis set.

```
11
Properties=species:S:1:pos:R:3:forces:R:3:nbo_charge:R:1